**Activity:**
The reader should type out all of the calculation results underneath exactly.

**Input:**
Entry 1:
# C17H20N4

A structure of composition C17H20N4 at a distorted geometry (the ωB97M-V functional and the def2-TZVPD basis, the Open Molecules 2025 dataset).

Each line ends with the Löwdin charge.
Element x y z (Å)
N1 2.25292 0.87799 -0.59036  0.063
C1 1.30528 1.34838 0.20993  -0.158
C2 1.89363 -0.08789 -1.55378  -0.054
C3 -1.75080 2.86582 2.98919  -0.025
C4 0.25191 1.44360 3.11376  -0.044
C5 -0.39741 0.02621 -0.63797  0.018
C6 -1.38650 3.48761 4.14513  -0.077
C7 0.66936 2.11808 4.24452  -0.029
C8 0.00935 0.88961 0.26295  -0.257
C9 -0.87143 1.88047 2.39749  -0.254
C10 0.53619 -0.56918 -1.57113  -0.154
C11 -0.25494 3.03806 4.82108  -0.242
N2 -1.08298 1.26945 1.16581  0.071
N3 0.22364 -1.64800 -2.42612  -0.086
N4 -0.11466 -4.36337 -3.40687  0.026
C12 0.25632 3.72328 6.11791  -0.064
C13 1.32907 -2.24778 -3.23318  -0.128
C14 -0.99233 -2.41818 -2.32401  -0.107
C15 -0.43006 -2.87552 -4.84919  -0.095
C16 0.73125 -3.36020 -4.08933  -0.355
C17 -1.21271 -3.39142 -3.58853  -0.209
H1 1.47013 2.33534 0.67155  0.131
H2 2.57860 -0.47285 -2.41908  0.116
H3 -2.64698 3.24434 2.43680  0.116
H4 0.88598 0.80485 2.51047  0.100
H5 -1.45179 -0.24272 -0.68414  0.115
H6 -1.92825 4.26282 4.56611  0.088
H7 1.56384 1.77482 4.71615  0.105
H8 -2.03824 1.42077 0.84766  0.137
H9 -0.21007 -5.15537 -3.96614  0.074
H10 1.28402 3.96228 6.14007  0.046
H11 0.15099 3.09481 7.02361  0.080
H12 -0.19960 4.70297 6.30537  0.070
H13 2.08789 -2.74254 -2.57439  0.138
H14 1.88734 -1.62399 -3.88415  0.100
H15 -1.77981 -1.69189 -2.30237  0.094
H16 -1.06657 -2.93560 -1.34234  0.133
H17 -0.56367 -3.30598 -5.82034  0.105
H18 -0.33638 -1.76053 -4.92352  0.123
H19 1.53649 -3.80956 -4.69153  0.147
H20 -2.18901 -3.86899 -3.80711  0.141

Values from the calculation:
Highest occupied orbital energy   -7.36 eV
Gap between HOMO and LUMO   8.08 eV
Energy above the lowest of the compared OMol25 structures with the same formula, charge and spin   109.3 kcal/mol

Entry 2:
# C5H11NO

An isolated molecule of C5H11NO at a distorted geometry (the ωB97M-V functional and the def2-TZVPD basis, the Open Molecules 2025 dataset).

Each line ends with the Löwdin charge.
Element x y z (Å)
C1 0.11441 2.28875 0.06715  -0.076
N1 0.35338 1.40815 -1.08865  0.018
C2 0.50027 0.03552 -0.99898  -0.485
O1 0.89732 -0.58351 -1.96627  0.055
C3 0.07628 -0.62910 0.30145  -0.335
C4 -1.44417 -0.70467 0.40433  -0.059
C5 0.77950 -2.00150 0.40557  -0.061
H1 0.11894 3.30574 -0.32024  0.082
H2 0.98460 2.21612 0.72199  0.083
H3 -0.81670 2.08092 0.57376  0.069
H4 0.67686 1.85264 -1.93414  0.131
H5 0.49786 -0.04375 1.11629  0.120
H6 -1.91786 -0.60457 -0.57275  0.089
H7 -1.86790 -1.62099 0.82425  0.076
H8 -1.83990 0.03713 1.10158  0.069
H9 0.25436 -2.62193 1.13653  0.074
H10 1.80307 -1.87269 0.75854  0.079
H11 0.82968 -2.54225 -0.53041  0.073

Values from the calculation:
SMILES string   CNC(=O)C(C)C
Highest occupied orbital energy   -9.49 eV
Gap between HOMO and LUMO   10.37 eV
Energy above the lowest of the compared OMol25 structures with the same formula, charge and spin   11.6 kcal/mol

Entry 3:
# C4H8NS

The ion C4H8NS with charge +1 at a distorted geometry (the ωB97M-V functional and the def2-TZVPD basis, the Open Molecules 2025 dataset).

Each line ends with the Löwdin charge.
Element x y z (Å)
N1 0.04449 1.86544 -0.36432  0.245
C1 -0.36822 0.48141 -0.18955  -0.629
C2 -0.17927 -0.38537 1.14846  -0.088
C3 0.23253 -1.62081 0.21690  -0.141
C4 0.04599 -0.73056 -0.97808  -0.491
S1 -1.66508 -0.24494 -1.25490  0.996
H1 -0.22582 2.42707 0.45888  0.202
H2 -0.14961 2.26863 -1.25623  0.161
H3 1.05163 1.74965 -0.46885  0.184
H4 -0.97844 -0.38579 1.92584  0.122
H5 0.72684 -0.28258 1.75732  0.107
H6 1.23689 -1.93101 0.55011  0.123
H7 -0.42167 -2.51859 0.24812  0.128
H8 0.64975 -0.69254 -1.79370  0.080

Values from the calculation:
SMILES string   [NH3+][C@]12CC[C@H]1S2
Highest occupied orbital energy   -13.62 eV
Gap between HOMO and LUMO   9.75 eV
Net charge   +1

**Result:**
Entry 1:
# C17H20N4

A structure of composition C17H20N4 at a distorted geometry (the ωB97M-V functional and the def2-TZVPD basis, the Open Molecules 2025 dataset).

Each line ends with the Löwdin charge.
Element x y z (Å)
N1 2.25292 0.87799 -0.59036  0.063
C1 1.30528 1.34838 0.20993  -0.158
C2 1.89363 -0.08789 -1.55378  -0.054
C3 -1.75080 2.86582 2.98919  -0.025
C4 0.25191 1.44360 3.11376  -0.044
C5 -0.39741 0.02621 -0.63797  0.018
C6 -1.38650 3.48761 4.14513  -0.077
C7 0.66936 2.11808 4.24452  -0.029
C8 0.00935 0.88961 0.26295  -0.257
C9 -0.87143 1.88047 2.39749  -0.254
C10 0.53619 -0.56918 -1.57113  -0.154
C11 -0.25494 3.03806 4.82108  -0.242
N2 -1.08298 1.26945 1.16581  0.071
N3 0.22364 -1.64800 -2.42612  -0.086
N4 -0.11466 -4.36337 -3.40687  0.026
C12 0.25632 3.72328 6.11791  -0.064
C13 1.32907 -2.24778 -3.23318  -0.128
C14 -0.99233 -2.41818 -2.32401  -0.107
C15 -0.43006 -2.87552 -4.84919  -0.095
C16 0.73125 -3.36020 -4.08933  -0.355
C17 -1.21271 -3.39142 -3.58853  -0.209
H1 1.47013 2.33534 0.67155  0.131
H2 2.57860 -0.47285 -2.41908  0.116
H3 -2.64698 3.24434 2.43680  0.116
H4 0.88598 0.80485 2.51047  0.100
H5 -1.45179 -0.24272 -0.68414  0.115
H6 -1.92825 4.26282 4.56611  0.088
H7 1.56384 1.77482 4.71615  0.105
H8 -2.03824 1.42077 0.84766  0.137
H9 -0.21007 -5.15537 -3.96614  0.074
H10 1.28402 3.96228 6.14007  0.046
H11 0.15099 3.09481 7.02361  0.080
H12 -0.19960 4.70297 6.30537  0.070
H13 2.08789 -2.74254 -2.57439  0.138
H14 1.88734 -1.62399 -3.88415  0.100
H15 -1.77981 -1.69189 -2.30237  0.094
H16 -1.06657 -2.93560 -1.34234  0.133
H17 -0.56367 -3.30598 -5.82034  0.105
H18 -0.33638 -1.76053 -4.92352  0.123
H19 1.53649 -3.80956 -4.69153  0.147
H20 -2.18901 -3.86899 -3.80711  0.141

Values from the calculation:
Highest occupied orbital energy   -7.36 eV
Gap between HOMO and LUMO   8.08 eV
Energy above the lowest of the compared OMol25 structures with the same formula, charge and spin   109.3 kcal/mol

Entry 2:
# C5H11NO

An isolated molecule of C5H11NO at a distorted geometry (the ωB97M-V functional and the def2-TZVPD basis, the Open Molecules 2025 dataset).

Each line ends with the Löwdin charge.
Element x y z (Å)
C1 0.11441 2.28875 0.06715  -0.076
N1 0.35338 1.40815 -1.08865  0.018
C2 0.50027 0.03552 -0.99898  -0.485
O1 0.89732 -0.58351 -1.96627  0.055
C3 0.07628 -0.62910 0.30145  -0.335
C4 -1.44417 -0.70467 0.40433  -0.059
C5 0.77950 -2.00150 0.40557  -0.061
H1 0.11894 3.30574 -0.32024  0.082
H2 0.98460 2.21612 0.72199  0.083
H3 -0.81670 2.08092 0.57376  0.069
H4 0.67686 1.85264 -1.93414  0.131
H5 0.49786 -0.04375 1.11629  0.120
H6 -1.91786 -0.60457 -0.57275  0.089
H7 -1.86790 -1.62099 0.82425  0.076
H8 -1.83990 0.03713 1.10158  0.069
H9 0.25436 -2.62193 1.13653  0.074
H10 1.80307 -1.87269 0.75854  0.079
H11 0.82968 -2.54225 -0.53041  0.073

Values from the calculation:
SMILES string   CNC(=O)C(C)C
Highest occupied orbital energy   -9.49 eV
Gap between HOMO and LUMO   10.37 eV
Energy above the lowest of the compared OMol25 structures with the same formula, charge and spin   11.6 kcal/mol

Entry 3:
# C4H8NS

The ion C4H8NS with charge +1 at a distorted geometry (the ωB97M-V functional and the def2-TZVPD basis, the Open Molecules 2025 dataset).

Each line ends with the Löwdin charge.
Element x y z (Å)
N1 0.04449 1.86544 -0.36432  0.245
C1 -0.36822 0.48141 -0.18955  -0.629
C2 -0.17927 -0.38537 1.14846  -0.088
C3 0.23253 -1.62081 0.21690  -0.141
C4 0.04599 -0.73056 -0.97808  -0.491
S1 -1.66508 -0.24494 -1.25490  0.996
H1 -0.22582 2.42707 0.45888  0.202
H2 -0.14961 2.26863 -1.25623  0.161
H3 1.05163 1.74965 -0.46885  0.184
H4 -0.97844 -0.38579 1.92584  0.122
H5 0.72684 -0.28258 1.75732  0.107
H6 1.23689 -1.93101 0.55011  0.123
H7 -0.42167 -2.51859 0.24812  0.128
H8 0.64975 -0.69254 -1.79370  0.080

Values from the calculation:
SMILES string   [NH3+][C@]12CC[C@H]1S2
Highest occupied orbital energy   -13.62 eV
Gap between HOMO and LUMO   9.75 eV
Net charge   +1